........
Record 1
Below is an optimized crystal structure of Li2MnCO4, with properties calculated at the PBE+U level.

Results
Formation energy from the elements   -2.08 eV per atom
Theoretical density   2.5 Mg/m³
Symmetry   P2_1/c

Lattice parameters (Å, degrees): 6.8548 5.1200 11.0410 90.00 95.60 90.00
Closest atoms and distances in Å follow each position.
Fractional positions:
Li  0.1179  0.1533  0.2859  3 O 1.90-2.04
Li  0.1179  0.3467  0.7859  3 O 1.90-2.04
Li  0.2193  0.1851  0.5708  3 O 1.87-2.04
Li  0.2193  0.3149  0.0708  3 O 1.87-2.04
Li  0.7807  0.6851  0.9292  3 O 1.87-2.04
Li  0.7807  0.8149  0.4292  3 O 1.87-2.04
Li  0.8821  0.6533  0.2141  3 O 1.90-2.04
Li  0.8821  0.8467  0.7141  3 O 1.90-2.04
Mn  0.4847  0.6462  0.6564  3 O 1.98-2.15
Mn  0.4847  0.8538  0.1564  3 O 1.98-2.15
Mn  0.5153  0.1462  0.8436  3 O 1.98-2.15
Mn  0.5153  0.3538  0.3436  3 O 1.98-2.15
C  0.1866  0.6868  0.4358  3 O 1.30-1.31
C  0.1866  0.8132  0.9358  3 O 1.30-1.31
C  0.8134  0.1868  0.0642  3 O 1.30-1.31
C  0.8134  0.3132  0.5642  3 O 1.30-1.31
O  0.0600  0.7012  0.8567  1 C 1.30
O  0.0600  0.7988  0.3567  1 C 1.30
O  0.2237  0.0637  0.9275  1 C 1.31
O  0.2237  0.4363  0.4275  1 C 1.31
O  0.2763  0.6762  0.0232  1 C 1.30
O  0.2763  0.8238  0.5232  1 C 1.30
O  0.3553  0.1734  0.2103  2 Li 1.87-1.90, 2 Mn 1.98
O  0.3553  0.3266  0.7103  2 Li 1.87-1.90, 2 Mn 1.98
O  0.6447  0.6734  0.2897  2 Li 1.87-1.90, 2 Mn 1.98
O  0.6447  0.8266  0.7897  2 Li 1.87-1.90, 2 Mn 1.98
O  0.7237  0.1762  0.4768  1 C 1.30
O  0.7237  0.3238  0.9768  1 C 1.30
O  0.7763  0.5637  0.5725  1 C 1.31
O  0.7763  0.9363  0.0725  1 C 1.31
O  0.9400  0.2012  0.6433  1 C 1.30
O  0.9400  0.2988  0.1433  1 C 1.30

Record 2
Below is an optimized crystal structure of KBiW2O8, with properties calculated at the PBE+U level.

Results
Formation energy from the elements   -2.15 eV per atom
Theoretical density   7.1 Mg/m³
Symmetry   C2/c

Lattice parameters (Å, degrees): 7.7885 7.7885 7.5320 117.72 117.72 88.89
Closest atoms and distances in Å follow each position.
Fractional positions:
K  0.2133  0.7867  0.7500  10 O 2.88-3.13
K  0.7867  0.2133  0.2500  10 O 2.88-3.13
Bi  0.2197  0.7803  0.2500  6 O 2.33-2.44
Bi  0.7803  0.2197  0.7500  6 O 2.33-2.44
W  0.3010  0.3102  0.2860  4 O 1.84-2.02
W  0.3102  0.3010  0.7860  4 O 1.84-2.02
W  0.6898  0.6990  0.2140  4 O 1.84-2.02
W  0.6990  0.6898  0.7140  4 O 1.84-2.02
O  0.0434  0.2270  0.6839  1 W 1.84
O  0.0598  0.3657  0.1337  1 W 1.86
O  0.2270  0.0434  0.1839  1 W 1.84
O  0.2540  0.3700  0.5571  2 W 1.90-2.08
O  0.3657  0.0598  0.6337  1 W 1.86
O  0.3700  0.2540  0.0571  2 W 1.90-2.08
O  0.3756  0.5923  0.0281  2 W 2.02-2.11
O  0.4077  0.6244  0.4719  2 W 2.02-2.11
O  0.5923  0.3756  0.5281  2 W 2.02-2.11
O  0.6244  0.4077  0.9719  2 W 2.02-2.11
O  0.6300  0.7460  0.9429  2 W 1.90-2.08
O  0.6343  0.9402  0.3663  1 W 1.86
O  0.7460  0.6300  0.4429  2 W 1.90-2.08
O  0.7730  0.9566  0.8161  1 W 1.84
O  0.9402  0.6343  0.8663  1 W 1.86
O  0.9566  0.7730  0.3161  1 W 1.84

Record 3
Below is an optimized crystal structure of Li3Fe2Si2O8, with properties calculated at the PBE+U level.

Results
Formation energy from the elements   -2.48 eV per atom
Theoretical density   2.9 Mg/m³
Polymorph energy (0 for the lowest one)   0.040 eV/atom
Symmetry   Pc

Lattice parameters (Å, degrees): 6.6224 5.1110 10.7485 90.00 90.66 90.00
Closest atoms and distances in Å follow each position.
Fractional positions:
Li  0.0000  0.0642  0.0000  4 O 1.95-2.08
Li  0.0000  0.9358  0.5000  4 O 1.95-2.08
Li  0.0030  0.4308  0.8310  3 O 1.92-2.02
Li  0.0030  0.5692  0.3310  3 O 1.92-2.02
Li  0.7793  0.0664  0.2360  3 O 1.95-2.09
Li  0.7793  0.9336  0.7360  3 O 1.95-2.09
Fe  0.4849  0.0497  0.0127  3 O 1.91-2.13
Fe  0.4849  0.9503  0.5127  3 O 1.91-2.13
Fe  0.4965  0.4367  0.8188  4 O 1.86-1.96
Fe  0.4965  0.5633  0.3188  4 O 1.86-1.96
Si  0.2336  0.0727  0.2515  4 O 1.62-1.72
Si  0.2336  0.9273  0.7515  4 O 1.62-1.72
Si  0.7544  0.4351  0.5709  4 O 1.58-1.70
........
Now work out how many lines earlier on have the word "lowest" in them; a number is enough.
1